**Given**
-- begin --
Structure and simulated PXRD pattern of NdSm2Tm6 (a DFT-relaxed cell (PBE, Alexandria); Cu Kα (λ = 1.5418 Å)).
Peak positions follow from Bragg's law for the DFT cell and can differ from measured ones.

Cell and atoms:
Cell lengths 9.7193, 9.7193, 3.4490 Å; angles 90.00, 90.00, 120.00 degrees
Sites, in units of the cell vectors:
Nd 0.0000 0.0000 0.0000
Sm 0.3333 0.6667 0.0000
Sm 0.6667 0.3333 0.0000
Tm 0.0000 0.3339 0.5000
Tm 0.0000 0.6661 0.5000
Tm 0.3339 0.0000 0.5000
Tm 0.3339 0.3339 0.5000
Tm 0.6661 0.0000 0.5000
Tm 0.6661 0.6661 0.5000

Top 12 peaks for 10° ≤ 2θ ≤ 90°, low angle first:
- (0 0 1), 25.8 deg, I 4.6
- (3 0 0), 31.9 deg, I 100.0
- (3 0 1), 41.5 deg, I 8.0
- (2 2 1), 45.7 deg, I 17.1
- (0 0 2), 53.1 deg, I 4.3
- (3 3 0), 56.8 deg, I 28.5
- (3 0 2), 63.3 deg, I 15.2
- (6 0 0), 66.7 deg, I 6.5
- (5 2 1), 75.8 deg, I 7.7
- (3 3 2), 81.5 deg, I 7.5
- (4 4 1), 84.6 deg, I 2.9
- (1 1 3), 87.1 deg, I 2.8

* * * * *

(1)
The following is a simulated powder diffractogram of CdSbO4. It was derived from DFT lattice parameters and positions (GGA-PBE), using Cu Kα (λ = 1.5418 Å).

Structure:
abc: 5.612 5.612 6.154
angles: 106.78 106.78 97.18
Fractional positions:
Cd1 0.102 0.898 0.750
Cd2 0.898 0.102 0.250
Sb1 0.477 0.523 0.250
Sb2 0.523 0.477 0.750
O1 0.174 0.236 0.089
O2 0.236 0.174 0.589
O3 0.328 0.642 0.518
O4 0.358 0.672 0.982
O5 0.642 0.328 0.018
O6 0.672 0.358 0.482
O7 0.764 0.826 0.411
O8 0.826 0.764 0.911

Main lines, low angle first (10 to 90 degrees two-theta):
2θ (°)  I_rel
18.94  12.5
21.11  49.2
26.65  100.0
31.73  25.1
32.34  20.8
32.47  18.0
38.42  18.1
38.94  15.5
43.67  21.2
50.00  13.6

=====

(2)
The following is a simulated powder diffractogram of Cd6SbO8. It was derived from DFT lattice parameters and positions (GGA-PBE), using Cu Kα (λ = 1.5418 Å).

Structure:
abc: 6.792 6.792 6.792
angles: 60.00 60.00 60.00
Fractional positions:
Cd1 0.000 0.000 0.500
Cd2 0.000 0.500 0.000
Cd3 0.000 0.500 0.500
Cd4 0.500 0.000 0.000
Cd5 0.500 0.000 0.500
Cd6 0.500 0.500 0.000
Sb1 0.000 0.000 0.000
O1 0.214 0.214 0.786
O2 0.214 0.786 0.214
O3 0.214 0.786 0.786
O4 0.250 0.250 0.250
O5 0.750 0.750 0.750
O6 0.786 0.214 0.214
O7 0.786 0.214 0.786
O8 0.786 0.786 0.214

Main lines, low angle first (10 to 90 degrees two-theta):
2θ (°)  I_rel
15.98  25.6
18.47  7.0
30.88  9.5
32.29  100.0
37.45  91.8
54.01  57.8
64.34  43.9
67.57  18.3
79.90  8.4
88.81  20.0

=====

(3)
The following is a simulated powder diffractogram of YbTiCdSbO7. It was derived from DFT lattice parameters and positions (GGA-PBE), using Cu Kα (λ = 1.5418 Å).

Structure:
abc: 7.300 7.300 10.346
angles: 90.00 90.00 90.00
Fractional positions:
Yb1 0.000 0.260 0.000
Yb2 0.000 0.740 0.500
Yb3 0.260 0.000 0.750
Yb4 0.740 0.000 0.250
Ti1 0.000 0.239 0.500
Ti2 0.000 0.761 0.000
Ti3 0.239 0.000 0.250
Ti4 0.761 0.000 0.750
Cd1 0.253 0.500 0.750
Cd2 0.500 0.253 0.000
Cd3 0.500 0.747 0.500
Cd4 0.747 0.500 0.250
Sb1 0.244 0.500 0.250
Sb2 0.500 0.244 0.500
Sb3 0.500 0.756 0.000
Sb4 0.756 0.500 0.750
O1 0.049 0.049 0.375
O2 0.049 0.951 0.125
O3 0.051 0.450 0.381
O4 0.051 0.550 0.119
O5 0.237 0.249 0.176
O6 0.237 0.751 0.324
O7 0.249 0.237 0.574
O8 0.249 0.249 0.875
O9 0.249 0.751 0.625
O10 0.249 0.763 0.926
O11 0.450 0.051 0.369
O12 0.450 0.949 0.131
O13 0.451 0.451 0.375
O14 0.451 0.549 0.125
O15 0.549 0.451 0.625
O16 0.549 0.549 0.875
O17 0.550 0.051 0.631
O18 0.550 0.949 0.869
O19 0.751 0.237 0.426
O20 0.751 0.249 0.125
O21 0.751 0.751 0.375
O22 0.751 0.763 0.074
O23 0.763 0.249 0.824
O24 0.763 0.751 0.676
O25 0.949 0.450 0.619
O26 0.949 0.550 0.881
O27 0.951 0.049 0.625
O28 0.951 0.951 0.875

Main lines, low angle first (10 to 90 degrees two-theta):
2θ (°)  I_rel
19.22  11.6
29.96  100.0
34.73  31.7
37.96  7.8
49.94  45.4
59.27  13.9
59.37  27.2
62.26  9.9
81.17  16.3
83.79  9.0

=====

(4)
The following is a simulated powder diffractogram of YbTiCdSbO7. It was derived from DFT lattice parameters and positions (GGA-PBE), using Cu Kα (λ = 1.5418 Å).

Structure:
-- stop --

**Request**
Quote the lines earlier on up to the one that holds "62.26", that line included, please.

**Worked solution**
Structure and simulated PXRD pattern of NdSm2Tm6 (a DFT-relaxed cell (PBE, Alexandria); Cu Kα (λ = 1.5418 Å)).
Peak positions follow from Bragg's law for the DFT cell and can differ from measured ones.

Cell and atoms:
Cell lengths 9.7193, 9.7193, 3.4490 Å; angles 90.00, 90.00, 120.00 degrees
Sites, in units of the cell vectors:
Nd 0.0000 0.0000 0.0000
Sm 0.3333 0.6667 0.0000
Sm 0.6667 0.3333 0.0000
Tm 0.0000 0.3339 0.5000
Tm 0.0000 0.6661 0.5000
Tm 0.3339 0.0000 0.5000
Tm 0.3339 0.3339 0.5000
Tm 0.6661 0.0000 0.5000
Tm 0.6661 0.6661 0.5000

Top 12 peaks for 10° ≤ 2θ ≤ 90°, low angle first:
- (0 0 1), 25.8 deg, I 4.6
- (3 0 0), 31.9 deg, I 100.0
- (3 0 1), 41.5 deg, I 8.0
- (2 2 1), 45.7 deg, I 17.1
- (0 0 2), 53.1 deg, I 4.3
- (3 3 0), 56.8 deg, I 28.5
- (3 0 2), 63.3 deg, I 15.2
- (6 0 0), 66.7 deg, I 6.5
- (5 2 1), 75.8 deg, I 7.7
- (3 3 2), 81.5 deg, I 7.5
- (4 4 1), 84.6 deg, I 2.9
- (1 1 3), 87.1 deg, I 2.8

* * * * *

(1)
The following is a simulated powder diffractogram of CdSbO4. It was derived from DFT lattice parameters and positions (GGA-PBE), using Cu Kα (λ = 1.5418 Å).

Structure:
abc: 5.612 5.612 6.154
angles: 106.78 106.78 97.18
Fractional positions:
Cd1 0.102 0.898 0.750
Cd2 0.898 0.102 0.250
Sb1 0.477 0.523 0.250
Sb2 0.523 0.477 0.750
O1 0.174 0.236 0.089
O2 0.236 0.174 0.589
O3 0.328 0.642 0.518
O4 0.358 0.672 0.982
O5 0.642 0.328 0.018
O6 0.672 0.358 0.482
O7 0.764 0.826 0.411
O8 0.826 0.764 0.911

Main lines, low angle first (10 to 90 degrees two-theta):
2θ (°)  I_rel
18.94  12.5
21.11  49.2
26.65  100.0
31.73  25.1
32.34  20.8
32.47  18.0
38.42  18.1
38.94  15.5
43.67  21.2
50.00  13.6

=====

(2)
The following is a simulated powder diffractogram of Cd6SbO8. It was derived from DFT lattice parameters and positions (GGA-PBE), using Cu Kα (λ = 1.5418 Å).

Structure:
abc: 6.792 6.792 6.792
angles: 60.00 60.00 60.00
Fractional positions:
Cd1 0.000 0.000 0.500
Cd2 0.000 0.500 0.000
Cd3 0.000 0.500 0.500
Cd4 0.500 0.000 0.000
Cd5 0.500 0.000 0.500
Cd6 0.500 0.500 0.000
Sb1 0.000 0.000 0.000
O1 0.214 0.214 0.786
O2 0.214 0.786 0.214
O3 0.214 0.786 0.786
O4 0.250 0.250 0.250
O5 0.750 0.750 0.750
O6 0.786 0.214 0.214
O7 0.786 0.214 0.786
O8 0.786 0.786 0.214

Main lines, low angle first (10 to 90 degrees two-theta):
2θ (°)  I_rel
15.98  25.6
18.47  7.0
30.88  9.5
32.29  100.0
37.45  91.8
54.01  57.8
64.34  43.9
67.57  18.3
79.90  8.4
88.81  20.0

=====

(3)
The following is a simulated powder diffractogram of YbTiCdSbO7. It was derived from DFT lattice parameters and positions (GGA-PBE), using Cu Kα (λ = 1.5418 Å).

Structure:
abc: 7.300 7.300 10.346
angles: 90.00 90.00 90.00
Fractional positions:
Yb1 0.000 0.260 0.000
Yb2 0.000 0.740 0.500
Yb3 0.260 0.000 0.750
Yb4 0.740 0.000 0.250
Ti1 0.000 0.239 0.500
Ti2 0.000 0.761 0.000
Ti3 0.239 0.000 0.250
Ti4 0.761 0.000 0.750
Cd1 0.253 0.500 0.750
Cd2 0.500 0.253 0.000
Cd3 0.500 0.747 0.500
Cd4 0.747 0.500 0.250
Sb1 0.244 0.500 0.250
Sb2 0.500 0.244 0.500
Sb3 0.500 0.756 0.000
Sb4 0.756 0.500 0.750
O1 0.049 0.049 0.375
O2 0.049 0.951 0.125
O3 0.051 0.450 0.381
O4 0.051 0.550 0.119
O5 0.237 0.249 0.176
O6 0.237 0.751 0.324
O7 0.249 0.237 0.574
O8 0.249 0.249 0.875
O9 0.249 0.751 0.625
O10 0.249 0.763 0.926
O11 0.450 0.051 0.369
O12 0.450 0.949 0.131
O13 0.451 0.451 0.375
O14 0.451 0.549 0.125
O15 0.549 0.451 0.625
O16 0.549 0.549 0.875
O17 0.550 0.051 0.631
O18 0.550 0.949 0.869
O19 0.751 0.237 0.426
O20 0.751 0.249 0.125
O21 0.751 0.751 0.375
O22 0.751 0.763 0.074
O23 0.763 0.249 0.824
O24 0.763 0.751 0.676
O25 0.949 0.450 0.619
O26 0.949 0.550 0.881
O27 0.951 0.049 0.625
O28 0.951 0.951 0.875

Main lines, low angle first (10 to 90 degrees two-theta):
2θ (°)  I_rel
19.22  11.6
29.96  100.0
34.73  31.7
37.96  7.8
49.94  45.4
59.27  13.9
59.37  27.2
62.26  9.9